_Contents_
- - -
Entry 1:
# PWNO2 (GGA-PBEsol, relaxed)
data_PWNO2
_chemical_formula_sum 'P1 W1 N1 O2'
_symmetry_space_group_name_H-M 'P 4/m m m'
_symmetry_Int_Tables_number 123
_symmetry_space_group_name_Hall '-P 4 2'
_cell_length_a 3.7085
_cell_length_b 3.7085
_cell_length_c 5.0510
_cell_angle_alpha 90.00
_cell_angle_beta 90.00
_cell_angle_gamma 90.00
loop_
_atom_site_label
_atom_site_fract_x
_atom_site_fract_y
_atom_site_fract_z
P1 0.0000 0.0000 0.0000
W1 0.0000 0.0000 0.5000
N1 0.5000 0.5000 0.0000
O1 0.0000 0.5000 0.5000
# Fermi-level density of states   1.61 states/eV/f.u.
# Formation energy from raw total energies   -91 meV/atom
# Energy   -7.816 eV per atom

***

Entry 2:
# SbPbN2O (GGA-PBEsol, relaxed)
data_SbPbN2O
_chemical_formula_sum 'Sb1 Pb1 N2 O1'
_symmetry_space_group_name_H-M 'P 4/m m m'
_symmetry_Int_Tables_number 123
_symmetry_space_group_name_Hall '-P 4 2'
_cell_length_a 4.2242
_cell_length_b 4.2242
_cell_length_c 4.1610
_cell_angle_alpha 90.00
_cell_angle_beta 90.00
_cell_angle_gamma 90.00
loop_
_atom_site_label
_atom_site_fract_x
_atom_site_fract_y
_atom_site_fract_z
Sb1 0.0000 0.0000 0.0000
Pb1 0.5000 0.5000 0.5000
N1 0.0000 0.5000 0.5000
O1 0.5000 0.5000 0.0000
# Fermi-level density of states   2.90 states/eV/f.u.
# Formation energy from raw total energies   1102 meV/atom
# Energy   -5.069 eV per atom

***

Entry 3:
# TePbN2O (GGA-PBEsol, relaxed)
data_TePbN2O
_chemical_formula_sum 'Te1 Pb1 N2 O1'
_symmetry_space_group_name_H-M 'P 4/m m m'
_symmetry_Int_Tables_number 123
_symmetry_space_group_name_Hall '-P 4 2'
_cell_length_a 4.0855
_cell_length_b 4.0855
_cell_length_c 6.4339
_cell_angle_alpha 90.00
_cell_angle_beta 90.00
_cell_angle_gamma 90.00
loop_
_atom_site_label
_atom_site_fract_x
_atom_site_fract_y
_atom_site_fract_z
Te1 0.0000 0.0000 0.0000
Pb1 0.0000 0.0000 0.5000
N1 0.0000 0.5000 0.5000
O1 0.5000 0.5000 0.0000
# Fermi-level density of states   2.83 states/eV/f.u.
# Formation energy from raw total energies   2023 meV/atom
# Energy   -3.942 eV per atom


1.
Below is a relaxed structure of AsBr2F, with properties calculated at the PBE level.

Total magnetic moment: 0.000 μB per atom
Fermi-level density of states: 0.00 states/eV per cell
E above lowest polymorph: 753 meV per atom
Formation energy without anion corrections: -0.234 eV/atom

abc: 8.3862 8.3862 8.3862
angles: 25.86 25.86 25.86
Positions (direct):
As (0.5000, 0.5000, 0.5000)
Br (0.0950, 0.0950, 0.0950)
Br (0.9050, 0.9050, 0.9050)
F (0.0000, 0.0000, 0.0000)

2.
Below is a relaxed structure of NaPmMgZn, with properties calculated at the PBE level.

Total energy: -2.2759 eV per atom
Total magnetic moment: 0.000 μB per atom
Fermi-level density of states: 1.50 states/eV per cell

abc: 5.1038 5.1038 5.1038
angles: 60.00 60.00 60.00
Positions (direct):
Pm (0.5000, 0.5000, 0.5000)
Zn (0.2500, 0.2500, 0.2500)
Na (0.7500, 0.7500, 0.7500)
Mg (0.0000, 0.0000, 0.0000)

3.
Below is a relaxed structure of Hf6GaO, with properties calculated at the PBE level.

Total magnetic moment: 0.000 μB per atom
Fermi-level density of states: 5.92 states/eV per cell
Formation energy without anion corrections: -0.509 eV/atom

abc: 5.7928 5.8139 6.4059
angles: 63.28 63.52 60.12
Positions (direct):
Ga (0.5000, 0.5000, 0.5000)
Hf (0.9653, 0.5841, 0.2259)
Hf (0.4152, 0.7751, 0.7751)
O (0.0000, 0.0000, 0.0000)
Hf (0.0347, 0.4159, 0.7741)
Hf (0.2250, 0.9676, 0.2264)
Hf (0.5848, 0.2249, 0.2249)
Hf (0.7750, 0.0324, 0.7736)

4.
Below is a relaxed structure of BaInNF2, with properties calculated at the PBE level.

Total magnetic moment: 0.400 μB per atom
Fermi-level density of states: 1.89 states/eV per cell
E above lowest polymorph: 629 meV per atom
Formation energy without anion corrections: -1.130 eV/atom

abc: 5.0221 5.0221 5.5132
angles: 90.00 90.00 90.00
Last column: magnetic moment on the atom in μB.
Positions (direct):
In (0.5000, 0.5000, 0.5000)  0.01
F (0.0000, 0.5000, 0.0000)  0.00
N (0.0000, 0.0000, 0.5000)  1.28
F (0.5000, 0.0000, 0.0000)  0.00
Ba (0.0000, 0.0000, 0.0000)  0.03
- - -
_To do_
Set down everything further up character by character, please.
_Result_
Entry 1:
# PWNO2 (GGA-PBEsol, relaxed)
data_PWNO2
_chemical_formula_sum 'P1 W1 N1 O2'
_symmetry_space_group_name_H-M 'P 4/m m m'
_symmetry_Int_Tables_number 123
_symmetry_space_group_name_Hall '-P 4 2'
_cell_length_a 3.7085
_cell_length_b 3.7085
_cell_length_c 5.0510
_cell_angle_alpha 90.00
_cell_angle_beta 90.00
_cell_angle_gamma 90.00
loop_
_atom_site_label
_atom_site_fract_x
_atom_site_fract_y
_atom_site_fract_z
P1 0.0000 0.0000 0.0000
W1 0.0000 0.0000 0.5000
N1 0.5000 0.5000 0.0000
O1 0.0000 0.5000 0.5000
# Fermi-level density of states   1.61 states/eV/f.u.
# Formation energy from raw total energies   -91 meV/atom
# Energy   -7.816 eV per atom

***

Entry 2:
# SbPbN2O (GGA-PBEsol, relaxed)
data_SbPbN2O
_chemical_formula_sum 'Sb1 Pb1 N2 O1'
_symmetry_space_group_name_H-M 'P 4/m m m'
_symmetry_Int_Tables_number 123
_symmetry_space_group_name_Hall '-P 4 2'
_cell_length_a 4.2242
_cell_length_b 4.2242
_cell_length_c 4.1610
_cell_angle_alpha 90.00
_cell_angle_beta 90.00
_cell_angle_gamma 90.00
loop_
_atom_site_label
_atom_site_fract_x
_atom_site_fract_y
_atom_site_fract_z
Sb1 0.0000 0.0000 0.0000
Pb1 0.5000 0.5000 0.5000
N1 0.0000 0.5000 0.5000
O1 0.5000 0.5000 0.0000
# Fermi-level density of states   2.90 states/eV/f.u.
# Formation energy from raw total energies   1102 meV/atom
# Energy   -5.069 eV per atom

***

Entry 3:
# TePbN2O (GGA-PBEsol, relaxed)
data_TePbN2O
_chemical_formula_sum 'Te1 Pb1 N2 O1'
_symmetry_space_group_name_H-M 'P 4/m m m'
_symmetry_Int_Tables_number 123
_symmetry_space_group_name_Hall '-P 4 2'
_cell_length_a 4.0855
_cell_length_b 4.0855
_cell_length_c 6.4339
_cell_angle_alpha 90.00
_cell_angle_beta 90.00
_cell_angle_gamma 90.00
loop_
_atom_site_label
_atom_site_fract_x
_atom_site_fract_y
_atom_site_fract_z
Te1 0.0000 0.0000 0.0000
Pb1 0.0000 0.0000 0.5000
N1 0.0000 0.5000 0.5000
O1 0.5000 0.5000 0.0000
# Fermi-level density of states   2.83 states/eV/f.u.
# Formation energy from raw total energies   2023 meV/atom
# Energy   -3.942 eV per atom


1.
Below is a relaxed structure of AsBr2F, with properties calculated at the PBE level.

Total magnetic moment: 0.000 μB per atom
Fermi-level density of states: 0.00 states/eV per cell
E above lowest polymorph: 753 meV per atom
Formation energy without anion corrections: -0.234 eV/atom

abc: 8.3862 8.3862 8.3862
angles: 25.86 25.86 25.86
Positions (direct):
As (0.5000, 0.5000, 0.5000)
Br (0.0950, 0.0950, 0.0950)
Br (0.9050, 0.9050, 0.9050)
F (0.0000, 0.0000, 0.0000)

2.
Below is a relaxed structure of NaPmMgZn, with properties calculated at the PBE level.

Total energy: -2.2759 eV per atom
Total magnetic moment: 0.000 μB per atom
Fermi-level density of states: 1.50 states/eV per cell

abc: 5.1038 5.1038 5.1038
angles: 60.00 60.00 60.00
Positions (direct):
Pm (0.5000, 0.5000, 0.5000)
Zn (0.2500, 0.2500, 0.2500)
Na (0.7500, 0.7500, 0.7500)
Mg (0.0000, 0.0000, 0.0000)

3.
Below is a relaxed structure of Hf6GaO, with properties calculated at the PBE level.

Total magnetic moment: 0.000 μB per atom
Fermi-level density of states: 5.92 states/eV per cell
Formation energy without anion corrections: -0.509 eV/atom

abc: 5.7928 5.8139 6.4059
angles: 63.28 63.52 60.12
Positions (direct):
Ga (0.5000, 0.5000, 0.5000)
Hf (0.9653, 0.5841, 0.2259)
Hf (0.4152, 0.7751, 0.7751)
O (0.0000, 0.0000, 0.0000)
Hf (0.0347, 0.4159, 0.7741)
Hf (0.2250, 0.9676, 0.2264)
Hf (0.5848, 0.2249, 0.2249)
Hf (0.7750, 0.0324, 0.7736)

4.
Below is a relaxed structure of BaInNF2, with properties calculated at the PBE level.

Total magnetic moment: 0.400 μB per atom
Fermi-level density of states: 1.89 states/eV per cell
E above lowest polymorph: 629 meV per atom
Formation energy without anion corrections: -1.130 eV/atom

abc: 5.0221 5.0221 5.5132
angles: 90.00 90.00 90.00
Last column: magnetic moment on the atom in μB.
Positions (direct):
In (0.5000, 0.5000, 0.5000)  0.01
F (0.0000, 0.5000, 0.0000)  0.00
N (0.0000, 0.0000, 0.5000)  1.28
F (0.5000, 0.0000, 0.0000)  0.00
Ba (0.0000, 0.0000, 0.0000)  0.03